Reproduce everything below without altering anything, please.

<<<
[1]
GGA-PBE TcOsPt2, relaxed; formation enthalpy at 0 K = -0.09 eV/atom; space group = R3m (160); excess energy over the best structure of this formula in the dataset = 0.000 eV per atom
1.0
2.750 0.000 0.000
-1.375 2.381 0.000
0.000 0.000 27.522
Tc Os Pt
3 3 6
direct
0.000 0.000 0.000
0.333 0.667 0.667
0.667 0.333 0.333
0.000 0.000 0.743
0.333 0.667 0.409
0.667 0.333 0.076
0.000 0.000 0.250
0.000 0.000 0.495
0.333 0.667 0.161
0.333 0.667 0.916
0.667 0.333 0.583
0.667 0.333 0.828

=====

[2]
GGA-PBE TcOsPt, relaxed; formation enthalpy at 0 K = -0.03 eV/atom; space group = C2/m (12); excess energy over the best structure of this formula in the dataset = 0.053 eV per atom
1.0
10.104 0.000 0.000
0.000 2.758 0.000
-1.604 0.000 6.366
Tc Os Pt
4 4 4
direct
0.133 0.000 0.024
0.367 0.500 0.976
0.633 0.500 0.024
0.867 0.000 0.976
0.029 0.500 0.294
0.471 0.000 0.706
0.529 0.000 0.294
0.971 0.500 0.706
0.192 0.000 0.644
0.308 0.500 0.356
0.692 0.500 0.644
0.808 0.000 0.356

=====

[3]
GGA-PBE TcOsPt2, relaxed; formation enthalpy at 0 K = 0.08 eV/atom; space group = Pmmm (47); excess energy over the best structure of this formula in the dataset = 0.171 eV per atom
1.0
2.736 0.000 0.000
0.000 3.995 0.000
0.000 0.000 5.465
Tc Os Pt
1 1 2
direct
0.000 0.000 0.000
0.000 0.000 0.500
0.500 0.500 0.250
0.500 0.500 0.750

=====

[4]
GGA-PBE Tc2OsPt, relaxed; formation enthalpy at 0 K = 0.44 eV/atom; space group = Fm-3m (225); excess energy over the best structure of this formula in the dataset = 0.572 eV per atom
1.0
6.224 0.000 0.000
0.000 6.224 0.000
0.000 0.000 6.224
Tc Os Pt
8 4 4
direct
0.250 0.250 0.250
0.250 0.250 0.750
0.250 0.750 0.250
0.250 0.750 0.750
0.750 0.250 0.250
0.750 0.250 0.750
0.750 0.750 0.250
0.750 0.750 0.750
0.000 0.000 0.000
0.000 0.500 0.500
0.500 0.000 0.500
0.500 0.500 0.000
0.000 0.000 0.500
0.000 0.500 0.000
0.500 0.000 0.000
0.500 0.500 0.500

=====

[5]
GGA-PBE TcOsPt2, relaxed; formation enthalpy at 0 K = 0.07 eV/atom; space group = I4/mmm (139); excess energy over the best structure of this formula in the dataset = 0.165 eV per atom
1.0
3.862 0.000 0.000
0.000 3.862 0.000
0.000 0.000 8.008
Tc Os Pt
2 2 4
direct
0.000 0.000 0.000
0.500 0.500 0.500
0.000 0.000 0.500
0.500 0.500 0.000
0.000 0.500 0.250
0.000 0.500 0.750
0.500 0.000 0.250
0.500 0.000 0.750

=====

[6]
GGA-PBE TcOsPt2, relaxed; formation enthalpy at 0 K = 0.07 eV/atom; space group = R-3m (166); excess energy over the best structure of this formula in the dataset = 0.165 eV per atom
1.0
2.755 0.000 0.000
-1.378 2.386 0.000
0.000 0.000 27.276
Tc Os Pt
3 3 6
direct
0.000 0.000 0.000
0.333 0.667 0.667
0.667 0.333 0.333
0.000 0.000 0.500
0.333 0.667 0.167
0.667 0.333 0.833
0.000 0.000 0.251
0.000 0.000 0.749
0.333 0.667 0.416
0.333 0.667 0.917
0.667 0.333 0.083
0.667 0.333 0.584

=====

[7]
GGA-PBE Tc2OsPt, relaxed; formation enthalpy at 0 K = -0.03 eV/atom; space group = Cmmm (65); excess energy over the best structure of this formula in the dataset = 0.106 eV per atom
1.0
5.471 0.000 0.000
0.000 7.815 0.000
0.000 0.000 2.741
Tc Os Pt
4 2 2
direct
0.250 0.250 0.000
0.250 0.750 0.000
0.750 0.250 0.000
0.750 0.750 0.000
>>>

[1]
GGA-PBE TcOsPt2, relaxed; formation enthalpy at 0 K = -0.09 eV/atom; space group = R3m (160); excess energy over the best structure of this formula in the dataset = 0.000 eV per atom
1.0
2.750 0.000 0.000
-1.375 2.381 0.000
0.000 0.000 27.522
Tc Os Pt
3 3 6
direct
0.000 0.000 0.000
0.333 0.667 0.667
0.667 0.333 0.333
0.000 0.000 0.743
0.333 0.667 0.409
0.667 0.333 0.076
0.000 0.000 0.250
0.000 0.000 0.495
0.333 0.667 0.161
0.333 0.667 0.916
0.667 0.333 0.583
0.667 0.333 0.828

=====

[2]
GGA-PBE TcOsPt, relaxed; formation enthalpy at 0 K = -0.03 eV/atom; space group = C2/m (12); excess energy over the best structure of this formula in the dataset = 0.053 eV per atom
1.0
10.104 0.000 0.000
0.000 2.758 0.000
-1.604 0.000 6.366
Tc Os Pt
4 4 4
direct
0.133 0.000 0.024
0.367 0.500 0.976
0.633 0.500 0.024
0.867 0.000 0.976
0.029 0.500 0.294
0.471 0.000 0.706
0.529 0.000 0.294
0.971 0.500 0.706
0.192 0.000 0.644
0.308 0.500 0.356
0.692 0.500 0.644
0.808 0.000 0.356

=====

[3]
GGA-PBE TcOsPt2, relaxed; formation enthalpy at 0 K = 0.08 eV/atom; space group = Pmmm (47); excess energy over the best structure of this formula in the dataset = 0.171 eV per atom
1.0
2.736 0.000 0.000
0.000 3.995 0.000
0.000 0.000 5.465
Tc Os Pt
1 1 2
direct
0.000 0.000 0.000
0.000 0.000 0.500
0.500 0.500 0.250
0.500 0.500 0.750

=====

[4]
GGA-PBE Tc2OsPt, relaxed; formation enthalpy at 0 K = 0.44 eV/atom; space group = Fm-3m (225); excess energy over the best structure of this formula in the dataset = 0.572 eV per atom
1.0
6.224 0.000 0.000
0.000 6.224 0.000
0.000 0.000 6.224
Tc Os Pt
8 4 4
direct
0.250 0.250 0.250
0.250 0.250 0.750
0.250 0.750 0.250
0.250 0.750 0.750
0.750 0.250 0.250
0.750 0.250 0.750
0.750 0.750 0.250
0.750 0.750 0.750
0.000 0.000 0.000
0.000 0.500 0.500
0.500 0.000 0.500
0.500 0.500 0.000
0.000 0.000 0.500
0.000 0.500 0.000
0.500 0.000 0.000
0.500 0.500 0.500

=====

[5]
GGA-PBE TcOsPt2, relaxed; formation enthalpy at 0 K = 0.07 eV/atom; space group = I4/mmm (139); excess energy over the best structure of this formula in the dataset = 0.165 eV per atom
1.0
3.862 0.000 0.000
0.000 3.862 0.000
0.000 0.000 8.008
Tc Os Pt
2 2 4
direct
0.000 0.000 0.000
0.500 0.500 0.500
0.000 0.000 0.500
0.500 0.500 0.000
0.000 0.500 0.250
0.000 0.500 0.750
0.500 0.000 0.250
0.500 0.000 0.750

=====

[6]
GGA-PBE TcOsPt2, relaxed; formation enthalpy at 0 K = 0.07 eV/atom; space group = R-3m (166); excess energy over the best structure of this formula in the dataset = 0.165 eV per atom
1.0
2.755 0.000 0.000
-1.378 2.386 0.000
0.000 0.000 27.276
Tc Os Pt
3 3 6
direct
0.000 0.000 0.000
0.333 0.667 0.667
0.667 0.333 0.333
0.000 0.000 0.500
0.333 0.667 0.167
0.667 0.333 0.833
0.000 0.000 0.251
0.000 0.000 0.749
0.333 0.667 0.416
0.333 0.667 0.917
0.667 0.333 0.083
0.667 0.333 0.584

=====

[7]
GGA-PBE Tc2OsPt, relaxed; formation enthalpy at 0 K = -0.03 eV/atom; space group = Cmmm (65); excess energy over the best structure of this formula in the dataset = 0.106 eV per atom
1.0
5.471 0.000 0.000
0.000 7.815 0.000
0.000 0.000 2.741
Tc Os Pt
4 2 2
direct
0.250 0.250 0.000
0.250 0.750 0.000
0.750 0.250 0.000
0.750 0.750 0.000